**What to do**
Copy the entries further down from the line with "(0.500, 0.626," to the end with every line break kept.

**Source**
Starting from a GGA-PBE-relaxed structure, the powder diffractogram of SmPuBi6 was computed for λ = 1.5418 Å (Cu Kα).
Kinematic intensities with the Lorentz-polarization factor, no thermal factor.

Atomic structure:
Cell lengths 4.6464, 4.6883, 11.8804 Å; angles 90.00, 101.17, 90.00 degrees
Space group Pm (No. 6)
Asymmetric unit:
Sm (0.0000, 0.0000, 0.0000) x1
Pu (0.1370, 0.5000, 0.2766) x1
Bi (0.2430, 0.0000, 0.4940) x1
Bi (0.3904, 0.0000, 0.7785) x1
Bi (0.5176, 0.5000, 0.0359) x1
Bi (0.6228, 0.0000, 0.2471) x1
Bi (0.7427, 0.5000, 0.4909) x1
Bi (0.8926, 0.5000, 0.7797) x1

Principal peaks in the range 10° ≤ 2θ ≤ 80°, sorted by position:
2θ (°)	d [Å]	Rel. int.
27.3	3.268	22
29.4	3.038	71
30.7	2.914	42
33.3	2.694	100
38.4	2.344	40
38.8	2.323	28
49.9	1.826	23
50.2	1.816	22
58.6	1.576	24
64.9	1.436	21

=====

Computed powder diffractogram of TbHo4Tm3 for CuKα, from a GGA-PBE-relaxed structure.

Top 10 peaks for 2θ from 5° to 70°, in order of falling intensity:
hkl 2 2 1, 2θ 33.0, rel. 100.0
hkl 0 2 1, 2θ 28.7, rel. 24.0
hkl 4 0 0, 2θ 32.3, rel. 23.7
hkl 4 4 0, 2θ 61.5, rel. 22.5
hkl 6 2 1, 2θ 58.0, rel. 20.2
hkl 0 4 0, 2θ 50.9, rel. 19.9
hkl 2 4 2, 2θ 62.0, rel. 16.5
hkl 4 2 1, 2θ 43.7, rel. 15.4
hkl 4 4 2, 2θ 69.3, rel. 4.0
hkl 0 4 2, 2θ 59.5, rel. 3.1

Structural model:
a = 11.101 Å, b = 7.184 Å, c = 6.209 Å
α = 90.00°, β = 90.00°, γ = 90.00°
Sites, in units of the cell vectors:
Tb (0.000, 0.125, 0.000)
Tb (0.500, 0.875, 0.500)
Ho (0.000, 0.374, 0.500)
Ho (0.000, 0.626, 0.999)
Ho (0.249, 0.625, 0.333)
Ho (0.251, 0.375, 0.833)
Ho (0.500, 0.374, 0.499)
Ho (0.500, 0.626, 0.000)
Ho (0.749, 0.375, 0.833)
Ho (0.751, 0.625, 0.333)
Tm (0.000, 0.876, 0.500)
Tm (0.250, 0.125, 0.333)
Tm (0.250, 0.875, 0.833)
Tm (0.500, 0.124, 0.000)
Tm (0.750, 0.125, 0.333)
Tm (0.750, 0.875, 0.833)

=====

Calculated X-ray powder pattern
Compound: KAl2CuS4
Radiation: Cu Kα
Structure: a cell relaxed with PBE
No peak broadening, texture or thermal motion is included.

Crystal structure
a = 5.4006 Å, b = 5.4006 Å, c = 12.3438 Å
α = 90.00°, β = 90.00°, γ = 90.00°
Fractional coordinates of all 16 atoms:
K: 0.0000 0.0000 0.0000
K: 0.5000 0.5000 0.5000
Al: 0.0000 0.5000 0.2500
Al: 0.0000 0.5000 0.7500
Al: 0.5000 0.0000 0.2500
Al: 0.5000 0.0000 0.7500
Cu: 0.0000 0.0000 0.5000
Cu: 0.5000 0.5000 0.0000
S: 0.2127 0.2127 0.6475
S: 0.2127 0.7873 0.3525
S: 0.2873 0.2873 0.1475
S: 0.2873 0.7127 0.8525
S: 0.7127 0.2873 0.8525
S: 0.7127 0.7127 0.1475
S: 0.7873 0.2127 0.3525
S: 0.7873 0.7873 0.6475

Top 10 peaks for 5 to 70 degrees two-theta, sorted by position:
| 2theta | Rel. int. |
| --- | --- |
| 17.93 | 14 |
| 23.29 | 7 |
| 27.47 | 100 |
| 36.31 | 9 |
| 37.47 | 7 |
| 43.45 | 4 |
| 44.59 | 41 |
| 47.63 | 17 |
| 50.38 | 14 |
| 55.86 | 22 |

**Completed**
Ho (0.500, 0.626, 0.000)
Ho (0.749, 0.375, 0.833)
Ho (0.751, 0.625, 0.333)
Tm (0.000, 0.876, 0.500)
Tm (0.250, 0.125, 0.333)
Tm (0.250, 0.875, 0.833)
Tm (0.500, 0.124, 0.000)
Tm (0.750, 0.125, 0.333)
Tm (0.750, 0.875, 0.833)

=====

Calculated X-ray powder pattern
Compound: KAl2CuS4
Radiation: Cu Kα
Structure: a cell relaxed with PBE
No peak broadening, texture or thermal motion is included.

Crystal structure
a = 5.4006 Å, b = 5.4006 Å, c = 12.3438 Å
α = 90.00°, β = 90.00°, γ = 90.00°
Fractional coordinates of all 16 atoms:
K: 0.0000 0.0000 0.0000
K: 0.5000 0.5000 0.5000
Al: 0.0000 0.5000 0.2500
Al: 0.0000 0.5000 0.7500
Al: 0.5000 0.0000 0.2500
Al: 0.5000 0.0000 0.7500
Cu: 0.0000 0.0000 0.5000
Cu: 0.5000 0.5000 0.0000
S: 0.2127 0.2127 0.6475
S: 0.2127 0.7873 0.3525
S: 0.2873 0.2873 0.1475
S: 0.2873 0.7127 0.8525
S: 0.7127 0.2873 0.8525
S: 0.7127 0.7127 0.1475
S: 0.7873 0.2127 0.3525
S: 0.7873 0.7873 0.6475

Top 10 peaks for 5 to 70 degrees two-theta, sorted by position:
| 2theta | Rel. int. |
| --- | --- |
| 17.93 | 14 |
| 23.29 | 7 |
| 27.47 | 100 |
| 36.31 | 9 |
| 37.47 | 7 |
| 43.45 | 4 |
| 44.59 | 41 |
| 47.63 | 17 |
| 50.38 | 14 |
| 55.86 | 22 |